There are philosophical choices that have sparked some of the great debates of our time: Star Wars or Star Trek? Thin crust or deep dish? In the world of truck transport of liquid commodities such as motor fuels, heating oil and chemicals, the question that typically divides people into two distinct camps is “repair or replace?” Or more to the point, what is the best pumping technology with which to outfit your transport vehicles, one that can be repaired in the field, or one that should just be scrapped and replaced with a new model once it fails?
While both sides have their strong points—that is, after all, what makes for a good argument—the feeling here is that there is one solution that stands above the rest: Outfitting your truck fleet with sliding vane pumps featuring components that can be quickly, confidently and cost-effectively replaced in the field with no unnecessary vehicle downtime.
The operators of transport-truck fleets have a basic choice of three customary truck-mounted pump technologies: the aforementioned sliding vane, along with external gear and centrifugal. Let’s take a closer look at all three technologies:
External Gear
This pump technology uses the meshing of gears to facilitate the flow of liquid through the pump at consistent volumes, which makes them a positive displacement (PD) pumping technology. They will deliver a constant amount of liquid with each revolution of the gears, while their tight clearances and speed of rotation restrict any fluid from moving backward, or “slipping,” during their operation. Since the gears are rigid, the pumps create a smooth, pulse-free flow, but also one that can handle very high pumping pressures, especially those that are needed to transfer high-viscosity liquids. However, the contact inherent in the meshing of the gears will cause them to wear over time. This wearing of the gears will compromise volumetric consistency and increase the risk that product slip will occur as the pump ages, which will result in decreased productivity over time. External gear pumps are also generally inexpensive, though they do have a relatively high number of wear parts, which will prompt many of their users to run them to failure and then replace, rather than repair, them. The cost to replace the wear items is a substantial percentage of the entire cost of the pump and directs users to scrap the entire pump for common wear.
This technology uses the rotational energy created by an internal impeller to “throw” the liquid to the discharge port. Although less efficient than PD pumps (meaning they require more energy to perform the same amount of work) this method of operation produces a smooth, pulse-free flow. Conversely, to achieve this effect and the resulting operational benefits, by design centrifugal pumps are more complex, which means higher downtime and maintenance costs when they fail. Centrifugal pumps also tend to have a steeper purchase price, which can put the operator between a rock and a hard place when considering the repair-or-replace question. From an operational standpoint, while some manufacturers claim they are self-priming, most centrifugal pump models cannot prime unless they are first pre-primed. Also, they do not have the capability to fully deplete tanks during unloading, cannot strip lines for product recovery and spill reduction, and cannot run in reverse for recovery between loads. Lastly, centrifugal pumps must operate at a speed that requires either a hydraulic-drive system or a gearbox to convert typical PTO speeds to the required pump speed.
The entry is interrupted by records of molecules:
=====
w.
# C3H7ClS

C3H7ClS as an isolated structure (ωB97M-V/def2-TZVPD, the Open Molecules 2025 dataset).

Its multiplicity is 1. For the HOMO energy, the calculation gives -0.3352 Eh. As for the LUMO energy: 0.32 eV.

Each line ends with the Mulliken charge.
Geometry (Å):
C 1.027 0.452 0.630  -0.59
C 0.294 -0.625 -0.151  -0.37
C -0.894 -0.095 -0.990  -0.42
H -0.734 1.077 2.146  0.11
H 1.518 -0.218 1.502  0.29
H 1.694 0.910 -0.009  0.34
H -0.289 -0.978 0.721  0.22
H 1.182 -1.369 -0.637  0.37
H -0.907 1.152 -1.803  0.30
H -2.172 -0.288 -0.374  0.28
S 0.202 1.728 1.155  -0.27
Cl -0.920 -1.747 -2.191  -0.27

---

x.
# C3H7ClS

A 2-piece molecular cluster, C3H7ClS overall (ωB97M-V/def2-TZVPD, the Open Molecules 2025 dataset).

Its multiplicity is 1. For the HOMO energy, the calculation gives -0.3213 Eh. As for the LUMO energy: 0.75 eV.

Each line ends with the Mulliken charge.
Geometry (Å):
C -0.269 0.396 1.693  -0.96
C -0.341 0.643 0.396  0.69
C -1.101 -0.392 -0.535  -1.33
S 0.518 1.883 -0.547  -0.14
H 0.195 0.973 2.381  0.32
H -0.666 -0.527 1.955  0.29
H -0.591 -1.387 -0.457  0.27
H -1.156 -0.116 -1.564  0.43
H -2.014 -0.568 0.018  0.36
H 0.913 2.326 0.536  0.08
Cl 2.760 -1.549 -2.321  -0.23
H 1.752 -1.683 -1.555  0.22

---

Quick look at relative energies in hartree: w 0.1505; x 0.0000.

---

w.
# C3H7N2S

An isolated ion of composition C3H7N2S and charge +1 (ωB97M-V/def2-TZVPD, the Open Molecules 2025 dataset).

Its multiplicity is 1. For the HOMO energy, the calculation gives -0.4917 Eh. As for the net charge: +1. As for the LUMO energy: -4.80 eV.

Each line ends with the Mulliken charge.
Geometry (Å):
C 1.543 1.115 0.149  -0.13
N 0.521 0.347 0.146  -0.08
C 0.344 -0.888 -0.477  -0.51
C -1.153 -1.042 -0.350  -0.13
N -1.721 0.087 -0.150  -0.33
S -3.336 0.175 0.184  -0.01
H 1.403 1.952 0.945  0.26
H 2.550 1.065 -0.385  0.29
H -0.528 0.815 0.307  0.40
H 1.047 -1.631 -0.107  0.36
H 0.730 -0.784 -1.494  0.30
H -1.794 -1.985 -0.288  0.40
H -3.252 1.364 0.712  0.16

---

x.
# C3H7N2S

An isolated ion of composition C3H7N2S and charge +1 (ωB97M-V/def2-TZVPD, the Open Molecules 2025 dataset).

Its multiplicity is 1. For the HOMO energy, the calculation gives -0.4945 Eh. As for the net charge: +1. As for the LUMO energy: -3.96 eV.

Each line ends with the Mulliken charge.
Geometry (Å):
N 0.842 -0.953 -1.508  -0.46
C 0.434 -0.046 -0.577  0.57
C -0.633 -0.480 0.353  -0.62
C -1.091 0.560 1.296  -0.64
S 0.204 2.033 1.032  0.03
N 0.884 1.131 -0.356  -0.21
H 0.555 -1.905 -1.332  0.27
H 1.843 -0.912 -1.845  0.28
H -1.542 -0.770 -0.237  0.34
H -0.283 -1.516 0.734  0.37
H -1.964 1.194 0.998  0.42
H -0.987 0.124 2.295  0.34
H 1.738 1.539 -0.852  0.31

---

Quick look at relative energies in hartree: w 0.0825; x 0.0000.

---

w.
# C2H5IN3

C2H5IN3 as an isolated structure (ωB97M-V/def2-TZVPD, the Open Molecules 2025 dataset).

Its multiplicity is 1. For the HOMO energy, the calculation gives -0.5032 Eh. As for the net charge: +1. As for the LUMO energy: -6.14 eV.
=====

Sliding Vane
This PD-pump technology features a rotor with retractable vanes that protrude and retract as the rotor turns. This setup draws liquid into chambers that are created by the spaces between the vanes, from where it is pushed to the discharge port. The self-adjusting vanes sustain the pump’s volumetric performance, making it energy efficient while simultaneously preventing product slip. Another feature of sliding vane pumps is a lack of metal-to-metal contact, which reduces the possibility that pump friction and galling will occur. An additional sliding vane attribute is its self-priming ability and suction-lift capabilities, which allows the creation of an internal vacuum that is strong enough to strip lines and tanks. Since there is no metal-on-metal contact inside the pump, sliding vane pumps have a liquid-handling range from ultra-thin liquids (0.2 cP) all the way up to liquids with a thickness of as much as 22,500 cP.
At this point, it makes sense to acknowledge that not all sliding vane pump technologies (the same goes for external gear and centrifugal) are created equal. Knockoff models have entered the market that may look the same as a high-end sliding vane pump (while costing less), but their performance leaves a lot to be desired. Mainly, their components (vanes, shafts, bearings, seals, etc.) fail quicker during normal operation. Because of their reduced purchase cost, these sliding vane pump models will more likely than not be run to failure and then replaced, rather than repaired.
Taking all of this into account, we recommend that the best choice for truck transport of liquid commodities is a premium, precision-engineered sliding vane pump that can be quickly and confidently repaired without the need to remove the pump from the truck or ship it off to a service provider for the installation of replacement parts or general maintenance.
Before making that final decision, though, there are a few variables that must be considered. The first may be the most obvious—purchase price. On principal, a pump that is designed to be repaired will have a higher purchase price than throwaway technologies. Therefore, the developers and manufacturers of pumps that are designed to be repaired take great pains to make the purchase price as palatable as possible, knowing that any excess upfront costs—while potentially off-putting to the buyer—can be recouped on the back end via longer service life and more manageable and bottom-line-friendly repair costs.
For example, it’s a fact of life that a sliding vane pump is more expensive to buy than a competitive truck-mounted external gear pump. Still, if that vane pump can be placed on a truck and only needs to be repaired two or three times over twenty years of service, while the external gear pump needs to be replaced three or four times in that time span, the higher upfront purchase cost is more than worth it.
Secondly, even those fleet operators who prefer to repair their external gear or centrifugal pumps when required can be better served by choosing sliding vane technology. That’s because sliding vane pumps have only one major sacrificial component: the plastic vanes that will wear down over time, and when the day for replacement comes, the worn vanes can be swapped out for new ones in a matter of minutes without having to remove the pump from the truck. The pump’s other wear components—gaskets, O-rings, seals, bearings, etc.—can also be replaced quickly and easily without taking the truck out of service.

External gear pumps have more wear parts that will need to be repaired or replaced. The quandary that arises here is found in the fact that while the user may replace a worn or broken part, there is no way to know when any of the other wear parts in the pump will fail—it could be in two years or two days. In other words, the more components in the pump that will eventually need to be repaired or replaced, the better the chance something will break at the most inopportune time possible.
Complicated or reoccurring component repair or replacement also brings the potential for a large amount of ancillary costs to be incurred by the fleet owner. The more complicated the pump and its drive system, the less likely that fleet operators—which are quite often lean three to four truck operations with small staffs—will have the expertise on hand to perform repairs or preventive maintenance. In this case, an outside service provider will need to be scheduled, or the pump shipped out for repairs, which can mean excessive idle time for the truck, along with significant labor costs.
All of this sounds like an argument to simply replace the failed pump with a new one, but that returns us to the first consideration of purchase cost, acknowledging again that initial cost may be lower, but over the twenty-year life cycle of a high-quality sliding vane pump, an external gear or centrifugal pump need to be replaced three or four times.
Calculated molecules, as found in the file:
~~~
15
Properties=species:S:1:pos:R:3:forces:R:3 method="wB97M-V/def2-TZVPD" e_lumo_ev=0.9 spin_multiplicity=1 smiles="F[C@H]1C=C[C@@]2(CS2)C1" e_homo_ha=-0.328 relative_energy_kcal_mol=18.5 gap_ev=9.83 energy_ha=-730.83515
F -2.320 -0.761 0.484 -0.436 -0.498 1.594
C -1.524 -0.197 -0.458 -0.035 0.673 -2.087
C -1.132 1.239 -0.152 -0.804 0.676 -0.111
C 0.170 1.332 0.114 -0.441 -0.102 -0.709
C 0.815 -0.018 0.004 -0.574 0.535 -0.493
C 1.662 -0.423 1.095 0.780 -1.287 1.654
S 2.583 -0.122 -0.411 0.215 0.344 -0.434
C -0.204 -0.943 -0.674 0.133 0.412 0.954
H -2.151 -0.258 -1.353 0.211 0.210 -0.229
H -1.877 2.089 -0.232 1.067 -1.194 0.335
H 0.722 2.252 0.296 -0.030 -0.311 0.130
H 1.817 0.266 1.942 -0.036 -0.460 -0.495
H 1.650 -1.502 1.325 -0.068 0.753 0.259
H -0.252 -1.958 -0.256 0.134 0.322 -0.087
H 0.042 -0.996 -1.724 -0.115 -0.074 -0.282

=====

14
Properties=species:S:1:pos:R:3:forces:R:3 method="wB97M-V/def2-TZVPD" e_lumo_ev=0.5 spin_multiplicity=1 smiles="C=C=C1CC1=C.I" e_homo_ha=-0.331 relative_energy_kcal_mol=78.8 gap_ev=9.50 energy_ha=-530.34029
C -2.843 -1.445 0.615 1.968 1.221 -1.388
C -1.987 -0.820 -0.180 0.282 -0.674 1.004
C -0.959 -0.228 -0.700 0.267 0.298 -0.510
C 0.033 -0.018 -1.809 0.978 -0.027 -0.188
C 0.148 0.703 -0.506 -1.080 -1.546 -0.016
C 0.706 1.475 0.403 1.358 -0.391 -3.491
H -2.534 -2.261 1.218 0.150 -0.748 0.261
H -3.743 -0.962 0.792 -1.883 0.383 0.248
H 0.730 -0.821 -2.120 -0.310 0.197 0.914
H -0.093 0.565 -2.698 -0.968 0.504 -0.316
H 0.317 1.392 1.343 -0.656 0.602 2.503
H 1.614 1.971 0.055 -0.238 0.254 0.901
I 3.808 0.046 1.177 0.317 0.051 0.397
H 4.804 0.404 2.409 -0.186 -0.125 -0.321

=====

21
Properties=species:S:1:pos:R:3:forces:R:3 method="wB97M-V/def2-TZVPD" total_charge=+1 e_lumo_ev="-4.0 / -4.3" spin_multiplicity=2 s2=0.7504 e_homo_ha="-0.387 / -0.500" relative_energy_kcal_mol=61.8 gap_ev="6.49 / 9.28" energy_ha=-891.69030
O 4.385 -0.211 -0.515 -0.132 0.566 -0.039
C 3.223 0.098 -0.216 0.560 -1.333 -0.211
O 2.965 1.072 0.553 -0.582 0.923 0.691
O 2.226 -0.683 -0.684 0.299 0.142 -0.360
C 1.096 -0.792 0.068 -4.902 -3.232 1.188
C 0.973 -1.616 1.135 3.593 1.292 1.554
Mg 5.164 1.356 0.699 -0.050 -0.262 -0.277
H 0.154 -1.664 1.853 -0.324 -0.192 -0.930
H 1.904 -2.045 1.515 -0.072 -0.219 0.251
Li 1.331 1.410 1.396 0.135 -0.236 -0.183
C -0.411 -1.019 -0.525 0.972 2.406 -2.125
C -1.291 0.104 -0.009 -0.273 -0.003 0.157
O -2.550 0.014 -0.676 0.638 -0.558 -0.182
C -3.345 1.068 -0.592 -0.253 1.196 0.129
O -3.264 1.954 0.224 0.169 -0.386 -0.063
O -4.204 1.027 -1.602 -0.252 -0.428 -0.047
H -0.927 -1.983 -0.420 0.845 0.121 0.563
H -0.263 -0.927 -1.612 -0.353 0.236 0.138
H -0.852 1.095 -0.180 -0.010 -0.059 -0.264
H -1.443 0.025 1.077 -0.083 -0.112 -0.092
H -4.870 1.716 -1.488 0.075 0.139 0.103

=====

14
Properties=species:S:1:pos:R:3:forces:R:3 method="wB97M-V/def2-TZVPD" e_lumo_ev="-1.3 / -1.3" spin_multiplicity=1 e_homo_ha="-0.333 / -0.333" relative_energy_kcal_mol=162.9 gap_ev="7.77 / 7.76" energy_ha=-287.32760
~~~
End of the calculated molecules:
The reliability of premium sliding vane pumps also allows their manufacturers to confidently offer best-in-class warranties and performance guarantees. In fact, one of the industry’s top sliding vane manufacturers offers a five-year warranty for its truck pumps, along with a two-year performance-assurance guarantee, meaning that if any part fails in the first two years of operation, it will be replaced, no questions asked.
In general, many people take a sense of pride in keeping a piece of mechanical equipment operating over an extended period of time. Sure, that snow blower may be 30 years old, but by taking care of the impeller, it hasn’t failed yet. Or there are instances of fuel-oil suppliers who will re-chassis their transport trucks but install their ten-year-old sliding vane pump on the new chassis. Sliding vane pumps have become the standard for efficient, reliable and cost-effective performance for liquid-handling on transport trucks—and their ease of part repair should put an end to the old repair-or-replace argument: Repair in a knockout!
Chris Hordyk is a product manager for Blackmer®. He can be reached at Blackmer is the leading global brand of sliding vane, gear, regenerative turbine, and centrifugal pump, and reciprocating compressor technologies for the transfer of liquids and gases. Blackmer is a product brand of PSG®, a Dover company. PSG is the global pump, metering and dispensing-solution expert, enabling the safe and efficient transfer of critical and valuable fluids that require optimal performance and reliability in applications where it matters most. PSG products are manufactured in state-of-the-art facilities that practice lean manufacturing and are ISO-certified. PSG is part of the Pumps & Process Solutions segment of Dover Corporation. For more information, visit
This article originally appeared in the January 2024 issue of Modern Pumping Today.